View Full Version : Opinions on some paint

04-06-2008, 05:49 PM
I have a couple questions about 2 brands of paint.

I can get RPS flash for 24.99 a case. Just came in. Doesnt appear to be old or I can get Xball silver for 39.99. What is the general opion on each.

I am using a minimag with retro valve and level 10 with warpfeed and apache ricochet. The level 10 has the gold spring and does prevent some chops, but still isnt that soft it will still crush a brittle ball. So a so a thick shell is a plush. Witch paint should I buy tomorrow?


mr doo doo
04-06-2008, 06:41 PM
Xball silver for $40 a case? wow :eek: That's a good price. I think you should go with the silver, but that Flash is pretty darn cheap, never used it before though...

04-06-2008, 07:55 PM
Which one best matches the bore of your barrel? I know... it's tough to tell without trying both of them but definitely a big factor.

04-06-2008, 08:02 PM
i would buy a case of each and doo tom's bounce test and see what matches up the best with your barrel

04-06-2008, 08:08 PM
Never used Flash, but Xballs are my favorite. They do tend to be on the brittle side, but I've used them almost exclusively for the last two years with hardly any problems.

04-07-2008, 01:48 AM
hmm well I cant afford 2 cases of paint to test them both. I wish some one has tried both. I might just buy the flash for 24.99. I mean its so cheap on sale right now. Even if some suck it will be worth it.


04-07-2008, 01:59 AM
I highly recomend getting the x-ball. Tune your level ten to use the red spring and you won't have a problem with barrel breaks or chops.

And avoid putting them in the cooler :P

04-07-2008, 02:04 AM
I highly recomend getting the x-ball. Tune your level ten to use the red spring and you won't have a problem with barrel breaks or chops.

And avoid putting them in the cooler :P

cant use the red spring.. never could no matter what I can do or what anyone's advice has done. If I use the red spring I have to turn it up so far that it vents out of the allen hole when I pull the trigger to work properly. No one on here has had an answer so I am stuck on that that issue. It will always chuff on the red spring unless I turn it up so far that it vents out the pack when I fire... I have no friggin Idea what was wrong with it.


04-07-2008, 08:49 AM
Well I'm going to risk it and buy some RPS Flash. The reviews on pbn were good and the reviews on pbreview were mixed but old.


04-07-2008, 09:55 AM
Well I'm going to risk it and buy some RPS Flash. The reviews on pbn were good and the reviews on pbreview were mixed but old.


Good luck, last time I used RPS it was bad, I might have just gotten a bad batch though. I donno.

04-07-2008, 09:59 AM
Well I'm going to take a chance. The money issue is going to win out. For 24.99 a case if it comes out of the barrel I will be happy. Plus I heard Xball silver has a brittle shell and I cant use that in my mag. I tried Xball recreational, but thats stuff was like monsterballs. My apache ricochet was breaking that paint in the hopper. It was a terrible time cleaining that day.


04-07-2008, 01:08 PM
Buy the cheap paint. Shoot more of it. Have a good time.

Maybe late on this one?

Honestly as of late paint has been so hit and miss. One week I would recommend one brand and the very next shipment is pure crap. We bought some Midnight I think its called which has been some pretty good paint, for our last tourney and this stuff was bouncing off goggles. I got some Stinger this past weekend which is just off white box and it performed flawlessly. At this point I really think its got to do with the weather. We have had a lot of temp and humidity changes over the last few weeks and that plays havoc with paint.

04-07-2008, 02:04 PM
Buy the cheap paint. Shoot more of it. Have a good time.

Maybe late on this one?

Honestly as of late paint has been so hit and miss. One week I would recommend one brand and the very next shipment is pure crap. We bought some Midnight I think its called which has been some pretty good paint, for our last tourney and this stuff was bouncing off goggles. I got some Stinger this past weekend which is just off white box and it performed flawlessly. At this point I really think its got to do with the weather. We have had a lot of temp and humidity changes over the last few weeks and that plays havoc with paint.

Yeah I'm going to get the cheap paint. On pbreview some people hated it, but those reviews are a couple years old. On pbn everyone says good things about it and thos reviews are from last year and this year. I'm going to give it a try. It made by RPS and cheaper then BE Monster Balls (witch do in fact suck).


04-07-2008, 02:42 PM
cant use the red spring.. never could no matter what I can do or what anyone's advice has done. If I use the red spring I have to turn it up so far that it vents out of the allen hole when I pull the trigger to work properly. No one on here has had an answer so I am stuck on that that issue. It will always chuff on the red spring unless I turn it up so far that it vents out the pack when I fire... I have no friggin Idea what was wrong with it.


Odd, Do you have all the little parts for the level ten? You have to use diffrent parts inside the power tube (the name of which escape me right now :tard: ).

Good luck, hope it works out for you.

**These records of molecules were left in the text by mistake**
/*
#one
# C4H12N3

A gas-phase ion, C4H12N3 (charge +1) (wB97M-V/def2-TZVPD, the Open Molecules 2025 dataset).

CARTESIAN COORDINATES (ANGSTROEM)
C1 0.470 2.060 0.071
C2 1.338 0.783 -0.081
C3 0.605 -0.500 -0.614
N1 -0.762 -3.012 -0.672
C4 -1.224 -1.900 -0.040
N2 -0.686 -0.727 -0.018
N3 -0.590 1.832 1.134
H1 1.121 2.811 0.452
H2 -0.014 2.335 -0.838
H3 2.083 0.920 -0.848
H4 1.727 0.565 0.930
H5 0.436 -0.392 -1.692
H6 1.343 -1.286 -0.513
H7 -1.208 -3.866 -0.392
H8 0.115 -3.026 -1.175
H9 -2.244 -1.954 0.376
H10 -1.328 2.521 1.020
H11 -0.979 0.747 0.837
H12 -0.200 2.087 2.062

Its SMILES is N/C=N\CCC[NH3+]. The value obtained for the frontier orbital gap is 10.36 eV. The HOMO energy comes out at -13.2 eV. The net charge is +1. As for the LUMO energy: -2.88 eV.

---

#two
# C4H12N3

2 unconnected molecules or ions with the total composition C4H12N3 (wB97M-V/def2-TZVPD, the Open Molecules 2025 dataset).

CARTESIAN COORDINATES (ANGSTROEM)
C1 -1.212 -0.837 1.268
N1 -0.960 1.947 1.422
C2 -1.956 1.316 0.702
N2 -1.990 0.066 0.443
H1 -1.831 -1.707 1.480
H2 -0.883 -0.499 2.257
H3 -0.330 -1.196 0.723
H4 -1.164 2.887 1.735
H5 -0.493 1.416 2.142
H6 -2.723 1.973 0.305
C3 2.122 -1.481 -1.116
C4 1.002 0.618 -1.575
N3 1.031 -0.650 -1.670
H7 2.448 -2.187 -1.873
H8 1.712 -2.033 -0.273
H9 2.920 -0.815 -0.807
H10 1.922 1.090 -1.244
H11 0.228 1.219 -2.036
H12 0.157 -1.127 -1.884

The value obtained for the frontier orbital gap is 7.25 eV. The HOMO energy comes out at -12.4 eV. The net charge is +1. As for the LUMO energy: -5.13 eV.

---

Which one sits at the bottom of the stability order? #two does.

=====

No. 1
{"formula": "C6H10O", "method": "ωB97M-V with the def2-TZVPD basis set", "e_homo_ev": -8.25, "total_charge": 0, "largest_force_ha_per_bohr": 0.062, "e_lumo_ev": 1.15, "elements": ["C", "C", "O", "C", "C", "C", "C", "H", "H", "H", "H", "H", "H", "H", "H", "H", "H"], "coordinates": [[1.74, 0.08, 1.21], [0.98, -0.09, -0.08], [0.40, -1.39, -0.07], [-0.55, -1.53, -1.04], [-1.35, 0.29, -0.94], [-1.45, 0.65, 0.48], [-0.17, 0.91, -0.28], [2.50, -0.71, 1.32], [1.06, 0.02, 2.07], [2.24, 1.05, 1.23], [1.65, -0.03, -0.95], [-0.63, -0.94, -1.91], [-1.16, -2.41, -0.82], [-1.90, 0.85, -1.73], [-1.43, -0.19, 1.18], [-2.06, 1.49, 0.79], [0.14, 1.93, -0.46]], "lowdin_charge": [-0.03, -0.37, -0.11, -0.04, -0.13, -0.12, -0.24, 0.08, 0.09, 0.08, 0.15, 0.05, 0.11, 0.12, 0.11, 0.10, 0.14]}

No. 2
*/
**End of the records of molecules**

04-07-2008, 04:38 PM
Yes everything for the level 10 is installed correctly. The only other option is that my reg piston is a very old version that can't handle the higher operating pressure when using the level 10. The level 10 is apparently not 100% drop in for older rt/classic/retro valves... But it still performs pretty well with the gold spring.

On a side note I picked up the 25 buck case of rps flash. The balls are dark/light grey and seem very tough. Thats good. None of them have dimples they are all perfectly round and are about .689 cal. I think they will shoot great. If so it will be my new choice paint.


04-07-2008, 04:42 PM
Yes everything for the level 10 is installed correctly. The only other option is that my reg piston is a very old version that can't handle the higher operating pressure when using the level 10. The level 10 is apparently not 100% drop in for older rt/classic/retro valves... But it still performs pretty well with the gold spring.

On a side note I picked up the 25 buck case of rps flash. The balls are dark/light grey and seem very tough. Thats good. None of them have dimples they are all perfectly round and are about .689 cal. I think they will shoot great. If so it will be my new choice paint.


You have to get a larger sized thingymajob(brass ring inside the power tube, affects airflow) to run the red or silver spring.

Sounds good! I like nelson and X-ball over RPS, but good luck!

04-07-2008, 06:11 PM
You mean carrier? I have the perfect one in there along with the perfect amount of shims... It is not a carrier size issue..

What comes next are quantum chemistry results, not part of the page =
'''
1.
# C27H24BCoN4O

A molecular structure, C27H24BCoN4O (ωB97M-V/def2-TZVPD, OMol25).

XYZ file:
```
58
Properties=species:S:1:pos:R:3:forces:R:3:lowdin_spin:R:1
H -4.3512 -3.4560 0.1320 0.017 0.038 -0.013 0.000
H 2.0191 -2.5933 -2.8109 -0.016 0.033 -0.030 0.000
H 0.6155 -0.8197 3.7571 0.001 -0.014 -0.001 -0.002
C -1.4561 -4.5527 -0.3371 0.094 0.097 0.037 0.000
C -1.9006 2.2817 -2.7458 0.001 0.019 -0.011 0.001
H 2.2134 1.1312 2.3404 -0.006 0.013 -0.019 0.000
N 0.0750 -2.7174 -0.4333 0.126 0.103 -0.060 0.010
C 2.9768 0.7475 -0.8157 0.053 -0.029 -0.085 0.006
N 1.5596 -0.9125 -1.6433 -0.095 -0.389 0.098 0.009
B -4.3562 -2.5987 -0.7319 0.143 0.042 0.048 -0.004
C 4.1382 2.6518 0.0174 0.089 0.099 -0.074 0.007
H -5.4071 -1.9940 -0.7457 0.045 0.031 -0.001 -0.001
C -1.1771 1.1407 -0.7125 0.006 0.157 -0.056 -0.003
C -3.1891 -1.5841 -0.3532 0.090 0.057 0.005 -0.019
H 4.8030 3.4952 -0.1283 0.005 -0.007 0.009 0.001
C 0.1910 -2.8851 -1.7595 0.031 -0.029 0.024 0.004
H 0.5381 2.0722 0.2043 -0.065 0.034 0.041 -0.002
H 1.1685 0.6590 5.6344 0.018 0.005 0.028 0.001
H 0.6858 -1.6495 -3.4358 -0.023 0.087 0.047 0.000
C -0.8900 3.2257 -2.6337 0.002 -0.072 0.039 -0.018
H -2.5937 2.3254 -3.5778 -0.008 0.009 -0.019 0.001
H 3.7467 3.0678 2.1048 0.023 0.027 -0.006 0.000
C -0.6148 -0.2603 1.4904 0.242 -0.270 0.199 -0.120
H -0.4471 -3.9446 -3.5009 0.007 -0.021 -0.022 0.000
C 1.1549 -1.9858 -2.5026 -0.005 -0.103 0.034 0.003
C 2.7006 1.3450 1.3973 0.172 0.055 -0.059 0.006
C -0.5331 -3.8662 -2.4251 0.014 0.018 0.019 0.000
H -2.8489 0.5550 -1.9489 -0.003 -0.005 0.008 -0.001
C 0.3121 0.2218 3.7299 0.048 -0.024 -0.033 -0.023
C 0.2868 2.4083 4.7386 -0.001 -0.094 0.000 -0.028
H -0.7687 4.0069 -3.3715 -0.006 0.027 -0.019 -0.001
C -0.1656 2.1180 -0.6123 -0.043 0.022 0.100 -0.015
Co 0.7941 -0.8196 0.1722 -0.386 0.490 -0.177 1.322
C -0.7570 2.0289 2.5902 0.037 -0.026 0.076 -0.026
C 2.6201 -0.2059 -1.9523 0.210 0.342 0.258 0.003
C 3.8566 1.7962 -1.0327 -0.042 -0.044 0.103 -0.002
C -1.3681 -4.7037 -1.7111 -0.028 -0.046 -0.042 0.003
H -2.1123 -5.1637 0.2637 -0.027 -0.017 -0.003 0.000
H -0.9520 -1.2156 1.8976 -0.116 0.082 -0.015 -0.007
H -1.3401 2.4102 1.7663 -0.014 0.043 -0.119 -0.002
C 0.6367 1.0583 4.7792 -0.040 0.074 0.010 0.000
H 0.7795 3.8386 -1.4262 0.013 0.014 -0.001 0.001
H 4.2792 1.9035 -2.0211 0.006 0.021 -0.011 0.000
C 3.5579 2.4254 1.2563 -0.121 -0.156 0.053 -0.001
C -1.2915 0.0281 0.2150 0.204 -0.349 -0.133 -0.062
C -0.4205 2.8743 3.6422 -0.042 0.010 -0.072 0.001
H 0.5424 3.0712 5.5545 0.019 0.016 0.020 -0.002
N -2.3311 -0.8536 -0.0877 -0.140 -0.045 -0.028 -0.006
C -2.0482 1.2691 -1.8125 -0.026 -0.020 0.004 -0.014
C -0.3695 0.6847 2.5901 -0.005 0.016 -0.072 -0.018
H -0.7312 3.9118 3.6007 0.006 0.019 0.009 0.001
O 3.3348 -0.2150 -2.9655 -0.069 -0.121 -0.118 0.004
C -0.7212 -3.5405 0.2504 -0.111 -0.064 0.008 0.003
H -4.0771 -3.0704 -1.8175 -0.020 0.016 0.035 -0.001
C -0.0275 3.1248 -1.5473 -0.006 0.035 0.006 0.001
N 2.4136 0.5291 0.3813 -0.266 -0.160 -0.025 -0.008
'''

04-07-2008, 06:29 PM
Fresh low-end paint can be better than old high-end paint, and with the price ... get the flash and see how it shoots fresh.

04-07-2008, 06:52 PM
You mean carrier? I have the perfect one in there along with the perfect amount of shims... It is not a carrier size issue..

you may have to change if you use a stronger spring.

04-07-2008, 08:37 PM
no..the carrier is not the issue and wouldnt be in this situation. the carrier is just for the fit of the oring on the bolt. It is not responsible for not being able to use the read spring. Trust me.


04-07-2008, 09:18 PM
i used to love the flash it is a great paint.. i used the green which had a kinda 2 stage green fill.. also used the x-ball bronze liked it well too but the flash has been a nice favorite..

on a little side note, marbilizer is around the perfect size for a stainless steel minimag barrel, shots just as straight as any custom barrel.